**Entries:**
=====
Diffraction record for SmHo3Pb2. The powder X-ray diffraction pattern is simulated, not measured: it uses a crystal structure in Alexandria, relaxed with PBE and Cu Ka.
Neutral-atom scattering factors, no anomalous dispersion.

Crystal structure
```
SmHo3Pb2
1.0
-3.742 7.293 3.734
3.742 -7.293 3.734
3.742 7.293 -3.734
Sm Ho Pb
2 6 4
Direct
0.000 0.000 0.000
0.500 0.500 0.000
0.040 0.250 0.790
0.250 0.750 0.500
0.460 0.250 0.210
0.540 0.750 0.790
0.750 0.250 0.500
0.960 0.750 0.210
0.143 0.680 0.823
0.357 0.180 0.537
0.643 0.820 0.463
0.857 0.320 0.177
```

Most intense lines, 2θ = 15–90°, sorted by position:
two_theta  I (rel.)
20.75  77.9
27.36  23.7
32.52  100.0
33.92  32.3
34.35  72.0
40.65  19.5
44.11  25.4
48.78  18.0
61.01  18.0
63.26  32.0


This entry pairs a crystal structure of K2NaAl with its calculated powder diffractogram. Radiation: a wavelength of 1.5418 Å. Structure: DFT lattice parameters and positions (PBE).

Lattice parameters (Å, degrees): 7.8630 7.8630 7.8630 101.54 101.54 126.86
Fractional positions:
K1 0.1044 0.6250 0.9794
K2 0.3750 0.3544 0.4794
K3 0.6456 0.1250 0.0206
K4 0.8750 0.8956 0.5206
Na1 0.2500 0.7500 0.5000
Na2 0.5000 0.5000 0.0000
Al1 0.0000 0.0000 0.0000
Al2 0.7500 0.2500 0.5000

The 10 most intense peaks (2θ = 10–90°), in order of falling intensity:
Position (°2θ)  I_rel
25.33  100
28.37  80
38.40  63
36.12  35
53.74  20
55.42  19
67.96  18
46.56  16
58.71  14
60.31  13

This entry pairs a crystal structure of ErTmMgTc with its calculated powder diffractogram. Radiation: a wavelength of 1.5418 Å. Structure: DFT lattice parameters and positions (PBE).

Lattice parameters (Å, degrees): 3.4462 3.4462 7.9824 90.00 90.00 90.00
Fractional positions:
Er1 0.0000 0.0000 0.0000
Tm1 0.0000 0.0000 0.4023
Mg1 0.5000 0.5000 0.7002
Tc1 0.5000 0.5000 0.2026

The 10 most intense peaks (2θ = 10–90°), in order of falling intensity:
Position (°2θ)  I_rel
34.38  100
11.08  70
36.89  55
42.94  39
64.85  31
25.85  27
53.15  19
70.63  18
38.63  14
70.52  13

This entry pairs a crystal structure of LaUC with its calculated powder diffractogram. Radiation: a wavelength of 1.5418 Å. Structure: DFT lattice parameters and positions (PBE).

Lattice parameters (Å, degrees): 3.8726 3.8854 4.4558 90.00 90.00 90.00
Fractional positions:
La1 0.0000 0.0000 0.0000
U1 0.5000 0.5000 0.5000
C1 0.5000 0.5000 0.0000

The 10 most intense peaks (2θ = 10–90°), in order of falling intensity:
Position (°2θ)  I_rel
30.56  100
32.65  48
52.95  24
56.91  18
57.02  18
40.49  13
86.20  12
67.53  11
46.94  10
46.76  9

This entry pairs a crystal structure of ThV4Si4 with its calculated powder diffractogram. Radiation: a wavelength of 1.5418 Å. Structure: DFT lattice parameters and positions (PBE).

Lattice parameters (Å, degrees): 8.0810 8.0810 4.6005 90.00 90.00 90.00
Fractional positions:
Th1 0.2500 0.2500 0.2500
Th2 0.7500 0.7500 0.7500
V1 0.1354 0.8544 0.6767
V2 0.1456 0.6354 0.1767
V3 0.3544 0.8646 0.1767
V4 0.3646 0.6456 0.6767
V5 0.6354 0.3544 0.3233
V6 0.6456 0.1354 0.8233
V7 0.8544 0.3646 0.8233
V8 0.8646 0.1456 0.3233
Si1 0.0334 0.9057 0.1845
Si2 0.0943 0.5334 0.6845
Si3 0.4057 0.9666 0.6845
Si4 0.4666 0.5943 0.1845
Si5 0.5334 0.4057 0.8155
Si6 0.5943 0.0334 0.3155
Si7 0.9057 0.4666 0.3155
Si8 0.9666 0.0943 0.8155

The 10 most intense peaks (2θ = 10–90°), in order of falling intensity:
Position (°2θ)  I_rel
31.48  100
22.24  86
35.12  71
44.99  47
22.00  35
38.74  33
53.61  32
31.31  31
60.74  28
50.62  22

This entry pairs a crystal structure of CaNdPb2 with its calculated powder diffractogram. Radiation: a wavelength of 1.5418 Å. Structure: DFT lattice parameters and positions (PBE).

Lattice parameters (Å, degrees): 4.4569 6.3841 8.9661 90.00 90.00 90.00
Fractional positions:
Ca1 0.0000 0.1179 0.0000
Ca2 0.0000 0.8821 0.5000
Nd1 0.5000 0.3681 0.3757
Nd2 0.5000 0.6319 0.8757
Pb1 0.0000 0.4258 0.6477
Pb2 0.0000 0.5742 0.1477
Pb3 0.5000 0.0987 0.7271
Pb4 0.5000 0.9013 0.2271
=====

**Job:**
Please work out how many lines further above have the word "parameters" in them; a number is enough.

**Solution:**
10